The Supreme Court last week declined to hear an appeal against the imposition of the first “buffer zone” around an abortion clinic in Britain.

The 100m (330ft) exclusion zone around the Marie Stopes clinic in west London was approved by Ealing Council in April 2018, ostensibly to prevent harassment of clients and staff.

The pro-life activists it sought to silence argued unsuccessfully that there was no evidence of such behaviour taking place, and that the police were equipped with the power to stop it if it had.

The subsequent Public Spaces Protection Order prohibits all pro-life activity inside the zone, including peaceful assembly, distribution of leaflets, counselling – and prayer, even when it is silent.

The order was challenged at the High Court by Alina Dulgheriu, a Romanian woman who says she was once put under pressure to abort both by an ex-boyfriend and her employers, who reportedly sacked her from her job as a live-in nanny when they discovered she was pregnant.

She had felt she had no option but to book herself into a Marie Stopes clinic, but decided not to abort after she was offered help by pro-life counsellors. She is now the mother of a seven-year-old daughter.

The High Court rejected her case and last August the Court of Appeal upheld its judgment. So Miss Dulgheriu appealed to the Supreme Court, the highest in the country. She has now learned that it will not hear the case, leaving her “devastated”.

“My little girl is here today because of the practical and emotional support that I was offered outside a Marie Stopes centre, and I brought the appeal to ensure that other women did not have this vital support option removed,” she said. “It is unthinkable that any council would criminalise an offer of help to a woman who might want to keep her child.

“Ealing Council could have taken action in a way that would have safeguarded the essential help offered at the gate. Instead, they made charity a criminal offence and removed dedicated and caring individuals from public space without justification.”

She and her legal team, she said, are “considering all options, including an appeal to the European Court of Human Rights in Strasbourg”, to which British courts remain subject under the European Convention on Human Rights.

Elizabeth Howard of Be Here For Me, a pro-life group supporting Miss Dulgheriu, said the rejection of the case represented “a very sad day for vulnerable women”.

“In five years of the pro-life vigil’s work in Ealing, hundreds of women have accepted an offer of help and chosen to keep their baby rather than have an abortion. These women have tried again and again to have their voices heard, but they are ignored,” she said.

“It is disgraceful that in both court judgments there is literally not a single sentence, not a single word, dedicated to the women who have been helped by the vigil, who are grateful for the vigil, and who have given the other side of the story.”

Emboldened abortion providers have demanded that the Government impose buffer zones at all clinics, with the British Pregnancy Advisory Service declaring the witness of pro-life activists a “national problem which requires a national solution”.

Attached: materials data
┌──
1.
The following is a DFT calculation (PBE) of a relaxed structure of HfP.

Unit cell a=3.6655 b=3.6655 c=12.4334 alpha=90.00 beta=90.00 gamma=120.00
Closest atoms and distances in Å follow each position.
Sites, in units of the cell vectors:
Hf  0.3333  0.6667  0.3840  6 P 2.56-2.69
Hf  0.6667  0.3333  0.8840  6 P 2.56-2.69
Hf  0.6667  0.3333  0.6160  6 P 2.56-2.69
Hf  0.3333  0.6667  0.1160  6 P 2.56-2.69
P  0.6667  0.3333  0.2500  6 Hf 2.69
P  0.3333  0.6667  0.7500  6 Hf 2.69
P  0.0000  0.0000  0.5000  6 Hf 2.56
P  0.0000  0.0000  0.0000  6 Hf 2.56

Summary:
Its final energy is -8.98 eV/atom. As for the volume: 145 Å³ per cell.

=====

2.
The following is a DFT calculation (PBE) of a relaxed structure of NbFe3.

Unit cell a=3.5720 b=3.5720 c=4.8530 alpha=111.59 beta=111.59 gamma=90.00
Closest atoms and distances in Å follow each position.
Sites, in units of the cell vectors:
Nb  0.0000  0.0000  0.0000  12 Fe 2.53-2.74
Fe  0.5000  0.5000  0.0000  4 Nb 2.53, 8 Fe 2.74
Fe  0.2500  0.7500  0.5000  8 Fe 2.53-2.74, 4 Nb 2.74
Fe  0.7500  0.2500  0.5000  8 Fe 2.53-2.74, 4 Nb 2.74

Summary:
Its final energy is -8.85 eV/atom. As for the volume: 53 Å³ per cell.

=====

3.
The following is a DFT calculation (PBE) of a relaxed structure of LiCuP2O6.

Unit cell a=4.9786 b=7.8058 c=8.9302 alpha=65.44 beta=89.63 gamma=89.27
Closest atoms and distances in Å follow each position.
Sites, in units of the cell vectors:
Li  0.6421  0.8633  0.3072  3 O 1.85-1.88
Li  0.1418  0.0949  0.7205  3 O 1.83-1.90
Cu  0.1364  0.0578  0.3725  4 O 2.04-2.11
Cu  0.6471  0.0892  0.9087  4 O 2.05-2.12
P  0.1834  0.5045  0.0914  4 O 1.47-1.62
P  0.1397  0.8980  0.1049  4 O 1.52-1.70
P  0.6309  0.9426  0.6172  3 O 1.52
P  0.6817  0.5207  0.8751  4 O 1.48-1.63
O  0.4678  0.4580  0.0258  2 P 1.62
O  0.0997  0.3422  0.2419  1 P 1.47
O  0.2428  0.6889  0.1076  2 P 1.54-1.70
O  0.8345  0.8896  0.1178  1 P 1.52
O  0.3439  0.0163  0.5844  1 P 1.52
O  0.2788  0.8952  0.2568  1 P 1.52
O  0.7927  0.0271  0.7128  1 P 1.52
O  0.7718  0.9241  0.4737  1 P 1.52
O  0.7079  0.3741  0.8117  1 P 1.48
O  0.2419  0.0425  0.9398  1 P 1.53
O  0.5789  0.7143  0.7542  2 P 1.53-1.71
O  0.9675  0.5575  0.9435  2 P 1.62-1.63

Summary:
The value obtained for the energy above the most stable polymorph in this dataset is 67 meV/atom. As for the volume: 316 Å³ per cell.

=====

4.
The following is a DFT calculation (PBE) of a relaxed structure of Cs2NaYCl6.

Unit cell a=7.7171 b=7.7171 c=7.7171 alpha=60.00 beta=60.00 gamma=60.00
Closest atoms and distances in Å follow each position.
Sites, in units of the cell vectors:
Cs  0.7500  0.7500  0.7500  12 Cl 3.86
Cs  0.2500  0.2500  0.2500  12 Cl 3.86
Na  0.5000  0.5000  0.5000  6 Cl 2.81
Y  0.0000  0.0000  0.0000  6 Cl 2.65
Cl  0.7575  0.2425  0.2425  1 Y 2.65, 1 Na 2.81
Cl  0.2425  0.2425  0.7575  1 Y 2.65, 1 Na 2.81
Cl  0.2425  0.7575  0.7575  1 Y 2.65, 1 Na 2.81
Cl  0.2425  0.7575  0.2425  1 Y 2.65, 1 Na 2.81
Cl  0.7575  0.2425  0.7575  1 Y 2.65, 1 Na 2.81
└──
The piece goes on

Yet it could be argued that such a policy, either local or national, is not only an infringement on the freedom of people to practise true charity, but also represents an act of censorship of the rights of free speech and expression of those who publicly disagree with abortion.

This is not just the view of the pro-life movement but pretty much the expressed view of such groups as Liberty, the Manifesto Club, Big Brother Watch, Index on Censorship, the Freedom Association and Peter Tatchell, the gay rights activist and human rights campaigner. They sense that a policy to prevent peaceful assembly sets a deeply chilling precedent in a supposedly free society.

It is a disturbing sign of the times that the courts appear oblivious to the dangers, and that the Labour and the Liberal Democrat parties have embraced such a blinkered view as part of a wider push to decriminalise abortion.

**These materials data were left in the article by mistake:**
The following is a r²SCAN calculation of an optimized crystal structure of Mg4CdAg5, from the Materials Project.

Cell lengths 3.3224, 3.3224, 16.4170 Å; angles 90.00, 90.00, 90.00 degrees
Sites, in units of the cell vectors:
Mg 0.5000 0.5000 0.7975
Mg 0.5000 0.5000 0.2025
Mg 0.5000 0.5000 0.4008
Mg 0.5000 0.5000 0.5992
Ag 0.0000 0.0000 0.3011
Ag 0.0000 0.0000 0.8952
Ag 0.0000 0.0000 0.1048
Ag 0.0000 0.0000 0.6989
Ag 0.0000 0.0000 0.5000
Cd 0.5000 0.5000 0.0000

Size of the total moment in μB/cell: 0.00
Energy of formation in eV per atom: -0.18
Space group: P4/mmm
Raw total energy in eV per cell: -145.37



The following is a r²SCAN calculation of an optimized crystal structure of ReH3O5, from the Materials Project.

Cell lengths 6.0339, 6.0478, 7.0347 Å; angles 112.43, 116.07, 89.52 degrees
Sites, in units of the cell vectors:
O 0.6822 0.2456 0.0456
O 0.3257 0.7393 0.9125
O 0.9359 0.8563 0.0840
O 0.3814 0.6365 0.2504
O 0.0725 0.1295 0.8767
O 0.2540 0.8979 0.5587
O 0.7560 0.0911 0.4023
O 0.8319 0.6487 0.5320
O 0.6277 0.3513 0.7097
O 0.1772 0.3379 0.4257
H 0.6994 0.2507 0.6073
H 0.6534 0.3014 0.8385
H 0.3104 0.7377 0.3532
H 0.3548 0.6854 0.1208
H 0.4444 0.3447 0.6071
H 0.5650 0.6428 0.3523
Re 0.1203 0.8527 0.7203
Re 0.8887 0.1341 0.2391

Size of the total moment in μB/cell: 0.00
Energy of formation in eV per atom: -1.32
Space group: P1
Raw total energy in eV per cell: -209.13



The following is a r²SCAN calculation of an optimized crystal structure of Cs2MgH12Se2O14, from the Materials Project.

Cell lengths 12.9704, 6.4399, 9.4545 Å; angles 73.93, 90.00, 90.00 degrees
Sites, in units of the cell vectors:
Se 0.1451 0.2585 0.3976
Se 0.3549 0.2585 0.8976
Se 0.8549 0.7415 0.6024
Se 0.6451 0.7415 0.1024
H 0.9051 0.3148 0.7959
H 0.6356 0.6838 0.5239
H 0.8644 0.6838 0.0239
H 0.5949 0.3148 0.2959
H 0.6799 0.9915 0.6497
H 0.6292 0.0904 0.2678
H 0.5931 0.9268 0.7697
H 0.1799 0.0085 0.8503
H 0.8708 0.0904 0.7678
H 0.4422 0.3364 0.5968
H 0.3201 0.0085 0.3503
H 0.0578 0.3364 0.0968
H 0.1356 0.3162 0.9761
H 0.3708 0.9096 0.7322
H 0.0949 0.6852 0.2041
H 0.8201 0.9915 0.1497
H 0.4051 0.6852 0.7041
H 0.3644 0.3162 0.4761
H 0.4069 0.0732 0.2303
H 0.0931 0.0732 0.7303
H 0.5578 0.6636 0.4032
H 0.9422 0.6636 0.9032
H 0.9069 0.9268 0.2697
H 0.1292 0.9096 0.2322
Cs 0.1484 0.6516 0.6332
Cs 0.6484 0.3484 0.8668
Cs 0.3516 0.6516 0.1332
Cs 0.8516 0.3484 0.3668
O 0.0750 0.4077 0.2597
O 0.6870 0.9620 0.1433
O 0.5722 0.8053 0.9535
O 0.1069 0.8400 0.1571
O 0.9250 0.5923 0.7403
O 0.4367 0.2874 0.5075
O 0.7445 0.5946 0.0784
O 0.8931 0.1600 0.8429
O 0.1056 0.9925 0.8336
O 0.8130 0.9620 0.6433
O 0.3931 0.8400 0.6571
O 0.5633 0.7126 0.4925
O 0.6056 0.0075 0.6664
O 0.9367 0.7126 0.9925
O 0.1870 0.0380 0.3567
O 0.3130 0.0380 0.8567
O 0.4250 0.4077 0.7597
O 0.4278 0.1947 0.0465
O 0.6069 0.1600 0.3429
O 0.0633 0.2874 0.0075
O 0.0722 0.1947 0.5465
O 0.8944 0.0075 0.1664
O 0.9278 0.8053 0.4535
O 0.2555 0.4054 0.9216
O 0.3944 0.9925 0.3336
O 0.5750 0.5923 0.2403
O 0.2445 0.4054 0.4216

It is all the more disturbing when the case for exclusion zones does not rest on the facts. For a fleeting moment, the truth clawed its way to the surface during the 2018 Home Office review of the case for a national policy. Sajid Javid, then Home Secretary, concluded a national policy would not be proportionate in the light of the “passive” nature of activities outside abortion clinics, as well as the existing powers of local councils and the police.

_These materials data were left in the piece by mistake_
~~~
No. 1
# UFe2Si2 | the Materials Project | r2SCAN | relaxed
# Symmetry ... I4/mmm
# Energy relative to the elements ... -41.6 kJ/mol of atoms
# VASP energy ... -25.694 eV per atom
data_UFe2Si2
_chemical_formula_sum 'U1 Fe2 Si2'
_space_group_name_H-M_alt 'P 1'
_space_group_IT_number 1
_cell_length_a 5.4040
_cell_length_b 5.4040
_cell_length_c 5.4040
_cell_angle_alpha 136.95
_cell_angle_beta 136.95
_cell_angle_gamma 62.52
loop_
_space_group_symop_operation_xyz
'x,y,z'
loop_
_atom_site_label
_atom_site_type_symbol
_atom_site_fract_x
_atom_site_fract_y
_atom_site_fract_z
U1 U 0.0000 0.0000 0.0000
Fe1 Fe 0.2500 0.7500 0.5000
Fe2 Fe 0.7500 0.2500 0.5000
Si1 Si 0.3671 0.3671 0.0000
Si2 Si 0.6329 0.6329 0.0000

***

No. 2
# CeGaPt | the Materials Project | r2SCAN | relaxed
# Symmetry ... Pnma
# Energy relative to the elements ... -109.0 kJ/mol of atoms
# VASP energy ... -32.386 eV per atom
data_CeGaPt
_chemical_formula_sum 'Ce4 Ga4 Pt4'
_space_group_name_H-M_alt 'P 1'
_space_group_IT_number 1
_cell_length_a 7.1424
_cell_length_b 4.4965
_cell_length_c 7.7506
_cell_angle_alpha 90.00
_cell_angle_beta 90.00
_cell_angle_gamma 90.00
loop_
_space_group_symop_operation_xyz
'x,y,z'
loop_
_atom_site_label
_atom_site_type_symbol
_atom_site_fract_x
_atom_site_fract_y
_atom_site_fract_z
Ce1 Ce 0.0194 0.2500 0.2003
Ce2 Ce 0.4806 0.7500 0.7003
Ce3 Ce 0.5194 0.2500 0.2997
Ce4 Ce 0.9806 0.7500 0.7997
Ga1 Ga 0.1698 0.2500 0.5774
Ga2 Ga 0.3302 0.7500 0.0774
Ga3 Ga 0.6698 0.2500 0.9226
Ga4 Ga 0.8302 0.7500 0.4226
Pt1 Pt 0.2189 0.7500 0.4047
Pt2 Pt 0.2811 0.2500 0.9047
Pt3 Pt 0.7189 0.7500 0.0953
Pt4 Pt 0.7811 0.2500 0.5953

***

No. 3
# Sr6Ga5N | the Materials Project | r2SCAN | relaxed
# Symmetry ... R-3c
# Energy relative to the elements ... -55.4 kJ/mol of atoms
# VASP energy ... -13.675 eV per atom
data_Sr6Ga5N
_chemical_formula_sum 'Sr12 Ga10 N2'
_space_group_name_H-M_alt 'P 1'
_space_group_IT_number 1
_cell_length_a 14.0807
_cell_length_b 14.0807
_cell_length_c 14.0807
_cell_angle_alpha 31.19
_cell_angle_beta 31.19
_cell_angle_gamma 31.19
loop_
_space_group_symop_operation_xyz
'x,y,z'
loop_
_atom_site_label
_atom_site_type_symbol
_atom_site_fract_x
_atom_site_fract_y
_atom_site_fract_z
Sr1 Sr 0.1353 0.7155 0.2578
Sr2 Sr 0.2155 0.6353 0.7578
Sr3 Sr 0.2422 0.7845 0.3647
Sr4 Sr 0.2578 0.1353 0.7155
Sr5 Sr 0.2845 0.7422 0.8647
Sr6 Sr 0.3647 0.2422 0.7845
Sr7 Sr 0.6353 0.7578 0.2155
Sr8 Sr 0.7155 0.2578 0.1353
Sr9 Sr 0.7422 0.8647 0.2845
Sr10 Sr 0.7578 0.2155 0.6353
Sr11 Sr 0.7845 0.3647 0.2422
Sr12 Sr 0.8647 0.2845 0.7422
Ga1 Ga 0.0435 0.4565 0.2500
Ga2 Ga 0.1952 0.1952 0.1952
Ga3 Ga 0.2500 0.0435 0.4565
Ga4 Ga 0.3048 0.3048 0.3048
Ga5 Ga 0.4565 0.2500 0.0435
Ga6 Ga 0.5435 0.7500 0.9565
Ga7 Ga 0.6952 0.6952 0.6952
Ga8 Ga 0.7500 0.9565 0.5435
Ga9 Ga 0.8048 0.8048 0.8048
Ga10 Ga 0.9565 0.5435 0.7500
N1 N 0.0000 0.0000 0.0000
N2 N 0.5000 0.5000 0.5000

***

No. 4
# CeGa6 | the Materials Project | r2SCAN | relaxed
# Symmetry ... P4/nbm
~~~
_The piece goes on_

Yet in March 2019, the London Borough of Richmond became the second local authority to introduce an exclusion zone around an abortion clinic. It is now facing a legal challenge from Justyna Pasek, who for five years has counselled women outside the BPAS clinic in Twickenham, south-west London.

Miss Pasek deserves a fair hearing, given that her case hinges on vital questions of life, freedom, justice and truth. It is a tragedy that she might not receive one.

The post At Britain’s Supreme Court, ‘a sad day for vulnerable women’ appeared first on Catholic Herald.